Have you seen The Walking Dead? It’s about isolated groups of people trying to survive after a zombie apocalypse. Soon enough, they discover how much their own fears, and a dog-eat-dog mentality, can destroy their thinly-protected communities. In the end, they’re not so safe from anyone. Rather than those dreadful zombies staggering around outside, some of the most dangerous people prove to be the proverbial enemies within.

Sign on to Newstart and you come understand this world. Unfortunately, that’s because you’ve been conscripted to the side of the zombies. Looking on from the outside at a so-called ‘healthy’ community, you see the corruption, false privilege and hidden horror you never noticed before. Your body fills with toxins of disgust and rage. But where does all this disgust and rage poisoning your system come from? Feelings so intense they almost choke you?

Someone pasted calculated molecules at this point =
********
No. 1
ORCA calculation (the ωB97M-V functional and the def2-TZVPD basis) on a molecular structure, CF2O3S at a distorted geometry.

```
7
CF2O3S | the Open Molecules 2025 dataset | the ωB97M-V functional and the def2-TZVPD basis
C -0.9818 -0.7072 0.4387
O -2.0950 -0.4442 0.1492
O 0.8058 0.6777 -1.7566
O 2.1508 0.3852 0.3584
F -0.3809 -1.7974 0.9266
F 0.3817 2.0576 0.0802
S 0.9360 0.5611 -0.3425
```

The value obtained for the strongest force on any atom is 0.0721 hartree/bohr. The energy relative to the best compared isomer or geometry (same formula, charge and spin) comes out at 3.005 eV. For the LUMO energy (spin up / spin down), the calculation gives -2.242 / -2.242 eV. As for the total charge: 0.

No. 2
ORCA calculation (the ωB97M-V functional and the def2-TZVPD basis) on a single C6H6OS molecule.

```
14
C6H6OS | the Open Molecules 2025 dataset | the ωB97M-V functional and the def2-TZVPD basis
C 2.0987 0.2790 -0.0008
C 0.6022 0.0866 0.0030
C -0.3313 1.0539 -0.0020
C -1.7381 0.5231 -0.0024
C -1.5278 -0.9791 0.0011
O -2.3799 -1.8239 -0.0001
C -0.0189 -1.2338 -0.0021
S 0.6790 -2.6789 -0.0004
H 2.5390 -0.1846 -0.8840
H 2.5158 -0.1721 0.8914
H 2.3358 1.3399 -0.0025
H -0.1059 2.1080 -0.0036
H -2.3356 0.8474 0.8760
H -2.3331 0.8345 -0.8736
```

The value obtained for the strongest force on any atom is 0.0156 hartree/bohr. The energy relative to the best compared isomer or geometry (same formula, charge and spin) comes out at 0.000 eV. For the LUMO energy, the calculation gives -1.276 eV. Its structure (SMILES) is CC1=CCC(=O)C1=S. As for the total charge: 0.

No. 3
ORCA calculation (the ωB97M-V functional and the def2-TZVPD basis) on a single C2H6N2OS molecule at a distorted geometry.

```
12
C2H6N2OS | the Open Molecules 2025 dataset | the ωB97M-V functional and the def2-TZVPD basis
C 0.6385 1.2557 0.0393
N 0.5438 -0.1940 -0.2340
S 2.0798 -0.9766 -0.1866
C -0.6129 -0.9656 -0.0978
N -1.7817 -0.2250 -0.0733
O -0.5682 -2.1802 -0.0083
H 1.6408 1.5801 0.3479
H 0.3284 1.7959 -0.8739
H -0.0716 1.4800 0.8061
H 2.1027 -1.3953 1.0552
H -2.6080 -0.7649 -0.1184
H -1.6915 0.5898 -0.6561
```

The value obtained for the strongest force on any atom is 0.0343 hartree/bohr. The energy relative to the best compared isomer or geometry (same formula, charge and spin) comes out at 0.653 eV. For the LUMO energy, the calculation gives 0.725 eV. Its structure (SMILES) is CN(S)C(N)=O. As for the total charge: 0.

No. 4
ORCA calculation (the ωB97M-V functional and the def2-TZVPD basis) on a molecular structure, C19H22N2NiS at a distorted geometry.

```
45
C19H22N2NiS | the Open Molecules 2025 dataset | the ωB97M-V functional and the def2-TZVPD basis
C -4.1251 -0.1496 -0.2073
C -4.2461 1.1571 -1.0002
H -4.3388 -1.0079 -0.8604
H -4.9030 -0.1404 0.5658
H -3.1768 -0.3279 0.2913
H -3.5328 1.2731 -1.8142
H -5.2441 1.2006 -1.4534
H -4.1675 2.0318 -0.3363
C 0.7075 -2.7300 -0.3355
C 1.5532 -3.8331 -0.4515
C 2.6815 -3.7537 -1.2785
C 2.9425 -2.5606 -1.9419
H -0.1643 -2.7009 0.3207
********

Why that’s easy to answer. It’s a mirrored response to the society you were once a part of – and the ways in which it so blatantly regards you now. You hear what you are in the very public language of politics and in casual conversation around you: a leaner not a lifter; a dole bludger; one of those types who has not received a ‘fair go’ only because you’ve failed to ‘have a go’.

It’s as if you have a disease. And you do. You know you do. It’s why you have started living your life like being unemployed is a terrible secret. If people find out, if it goes on for too long, you really are as good as dead. The gap in employment does not look good on your resume; real estate agents don’t like renting you a home (it’s obvious to them you can’t keep up); socially it all becomes shameful and pathetic. Your whole world tilts downward into oblivion. And everything you do to change things for the better seems to be an uphill scramble.

You can feel, by the day, how the sickness of poverty is something others prefer to steer clear of. Donations to a charity; an outrageous moment of financial sympathy for a street beggar, sure. Those better off can feel good about making such abstract gestures. But in general, decent people shy away from the unemployed. Lest something about you infect their own lives – and pull them down to a place they fear.

History whispers in the ears of the better off. There is a feeling our good life in Australia has always been on thin ice. One of the by-products of the Global Financial Crisis in 2008 was that almost ten million homes in the USA were foreclosed on by the banks. Basically, people lost their properties or sold them at any cost. Anyone who thinks we are immune to that kind of disaster in Australia is kidding themselves. One has only to look at recent publicity around the bad behaviour of our own banks, and the fall in housing prices after years of ramped-up greed, to see we are in a heading into the red zone. A latent sense of this underlines the public distaste for, and growing fear of the unemployed – and the shutting of the doors on them. There but for the grace of God (so far), many more will go.

Next month in Las Vegas a conference called SALT is being convened, an annual event where some of the most powerful figures in American finance and politics will gather. It’s with something approaching grim irony that a trending theme will be concerns from the super-wealthy about an awful imbalance in their economy. Everyone is nervous another GFC is in the wind, or worse. One of the speakers at SALT, Ray Dalio – the founder of the world’s biggest hedge fund and a major investor in KFC and Walmart and other low-wage employers – has gone so far as to write an 8,000 word blog on LinkedIn calling the growing gap between rich and poor “a national emergency”.

In a recent interview in The Guardian covering all this, SALT’s founder Anthony Scaramucci, a former White House director of communications, cited similar concerns. Taking Latin America as the example to avoid, Scaramucci looked at where the USA was headed and said, “You don’t want to be the guy living in your McMansion in your barbed-wired security compound while your neighbours are struggling.”

Given that swathes of urban America already seem this way to us here in Australia, one assumes Scaramucci has a vision of things exponentially worse than they already are in the Land of the Free. And yet here we are, following the more extreme market principles of the USA towards an even more imbalanced society Downunder. Without any of the same cautionary observations, or vague sense of social conscience, from our own wealthy and powerful.

It’s quite amazing really. Somehow, every bastard under the sun on a big income in Australia has found out how to speak like they were born with a hard-earned beer in one hand and a battler’s meat pie in the other. The Prime Minister prime among them. All these ‘anti-elite’ millionaires in Parliament and on the radio (they love opening their jaws widest there), dishing out their can-do patter: the rich have ‘earned’ their wealth and their promised tax cuts deep into the next decade, they have ‘worked hard’; to deny them anything would be ‘anti-achievement’, mate.

Argue against this, say it all sounds a bit upside down, and right wing critics will attack you for stirring up a class war. Blaming the rich for your own problems. If you’re poor and struggling, if you’ve fallen into the grip of Newstart, well, no matter how hard you say it is to just get by, let alone find a decent and reliable job, the fact of the matter is you are getting more than you ever deserved. Newstart is not meant to be something you can live on, fool, it’s to assist you in securing work quickly. Can’t you understand that!

You wish this was true. But you know it’s a lie. And you know they know they are lying too. And they don’t care about their lies. Of course, it’s a class war. A war on a huge and growing underclass.

In the wake of the latest Budget 2019 you therefore can’t stop thinking about why people with the highest incomes need the biggest tax cuts? Or, how wealth in our society keeps concentrating itself among fewer and fewer people at the top of the social pyramid, rarely, if ever, ‘trickling down’ to assist those at the bottom of the social strata.

News that the banks, among others, have been operating criminally while you’re surveilled and harangued within an inch of your life on Newstart is just another contradiction you are supposed accept. Just forget about that, mate. The rich need help, the rich need support, the rich need freedom. And it will all improve for you.

Eventually, of course, it just doesn’t add up. And you ask who the parasites really are?

Here are a few ‘facts’: Newstart pays $278 a week. It will only take a few months trapped on it before you are behind in your rent, unable to pay your electricity and phone bill, and incapable of affording public transport. So, you go back to Newstart, or your dreaded ‘job provider’, to talk about how you can ever fulfil ‘compliance’ obligations – the standard 20 job applications a month, the endless routine ‘interviews’ you are made to attend that usually involve someone ticking a box after a lengthy wait. Centrelink and the job provider have the same answer: there are computers here you can use at our offices; there is assistance you can request each time for a public transport journey to a prospective employer.

If you’re lucky, that means a half hour walk up the road to Centrelink or the job provider, rain or shine. Otherwise you jump a train or bus illegally, and hope you don’t get caught. Plenty of waiting time, again, of course. Whatever way you manage it, you must comply with this, or your Newstart payments will stop – and things will get even worse. In the meanwhile, you can’t afford a haircut, or new clothes, let alone visit a dentist. Everything about you gets shabby, even your smile. If you do your best to look good, people will say you are coasting on the system; if your appearance gives away how bad things are going, they say it’s no wonder you can’t get a job.

Have you ever been into a job provider? No? Well imagine this: all those corner shops and failed laundromats back at the turn of the century, buying up a few crap computers and repurposing themselves as ‘internet cafes’. That is what many job providers are like. Half-baked, ad hoc enterprises exploiting a business opportunity. As for them offering vocational guidance, you will get more sympathy from a checkout person dealing with a long line at the supermarket. Which is to say, not much sympathy or help at all.

On and on it goes like this. By then, you see that the system is not meant to work. It is simply meant to drive you away. Most people end up in casual or part time work, doing anything to escape being harassed and demoralised by the system, borrowing from friends and family till even those avenues run out and all support is exhausted.

Sadly, some 70% of people in Newstart are on it for a year or more. 44% for over two years. It’s punishing; its endemic; and it will destroy you the longer you’re there.

Raw data is bringing the numbers of those unemployed in Australia up to near a million people today. The Australian Council of Social Services (ACOSS) estimates that some three million in all are living in poverty in this country, around 750,000 of them the children of sole parents. So much for family values. Almost 40% of those living in poverty do have a job. Unfortunately, one in four Australian workers are only casually employed, which could mean anything from one hour to 19 hours. The percentage of people we have in casual and part time work is the highest in the developed world. That level of under-employment is enough for the government to hide our true levels of poverty and unemployment, helped along with a vicious Newstart system that pushes people off a bureaucratic cliff into anything they can do to scrape by. People don’t get these kind of ‘facts’, they get the stats. And the stats are a massaged to look good. Oh yes, unemployment is down; jobs are available. Millions living casually week to week, never sure of their earnings, sick to their stomach about whether they have a job they can ever rely on.

There’s only one kind of pleasure to be had in this experience, and it’s entirely perverse. Best evoked by a cheery singalong to the old Ben Lee pop tune, ‘Catch My Disease’. For the more people suffer in the same way, the more they fall into the ranks of the unemployed and under-employed, the more the ‘broader’ public come to an understanding of how things are. By then, of course, it will be too late for them too.

Payments on Newstart have not changed in real terms for a quarter of century. The Raise the Rate campaign is asking for a $75 per week increase right now. It would actually take $175 per week to get people on Newstart up to the poverty line. But does anyone really give a damn about the low levels of Newstart – and the Raise the Rate campaign being waged to try and haul people free of crushing poverty and systemic abuse? Hardly anyone, it seems, who is not already caught up in the awful struggle to exist today.

It appears a great and terrible awakening is required. A toxic shock to our wider society. And then, in retrospect, the Raise the Rate campaign to boost Newstart won’t seem so much to have spent on all those people struggling. Let’s change our ways – and move towards a fairer world while we can. Or we can hardly complain when we find there is hell to pay. Raise the Rate now. Pull our country from its shadows.

Story by Mark Mordue